Table of Contents
Introduction ..................................................................................................................................... 2
Preparation ...................................................................................................................................... 2
Update Microsoft® Office .......................................................................................................... 2
Styles ........................................................................................................................................... 2
Modifying Styles ..................................................................................................................... 3
Headings ..................................................................................................................................... 4
Keyboard Shortcuts ................................................................................................................. 4
Lists ............................................................................................................................................. 4
Columns ...................................................................................................................................... 5
Hyperlinks ................................................................................................................................... 5
Tables, Graphics, and Images ..................................................................................................... 5
Tables ...................................................................................................................................... 5
Graphics and Images ............................................................................................................... 6
Conversion ...................................................................................................................................... 7
Verification ..................................................................................................................................... 8
Microsoft® Word for Mac 2011 lacks some of the accessibility features of their Windows
version. While it possesses the abilities to create Word documents that are accessible, it lacks the
ability to verify that nothing has been overlooked, and has no way to generate a PDF without
losing accessibility features.
To compensate for these deficiencies, this tutorial will first guide you through the preparation
stages in Word 2011 to create an accessible Word document. It then demonstrates how to use a
free, open-source Office suite (LibreOffice or its siblings) to transform a Word document into a
PDF without losing accessibility features, and how to use Adobe Reader or Adobe Acrobat to
verify that the resulting PDF is accessible.
Update Microsoft® Office
Microsoft® Office 2011 Service Pack 1 added the ability to add alternate text to images. To
make sure you are running the most recent version, from the Help menu select Check for
An important component of any document is style. Formatting with style adds structure to a
document, making it visually appealing and coherent. Word is equipped with several preset
styles to choose from, which can be accessed from the Styles group in the Home Ribbon.
Only the most popular styles offered appear on the Ribbon. To access all styles, click the
Manage Styles button.
The styles toolbar will appear. From the List drop-down menu, select All Styles.
Modifying Styles
Right-click the desired style in the Styles group on the Home Ribbon. Left-click Modify.
**Records of crystals from another source follow**
Material: NaLaSiGeS2O12
Method: DFT, GGA-PBE
State: relaxed

ρ	2983	kg/m3
total magnetic moment	0.00	μB per cell
ΔE_f	-42.808	eV/f.u.
DFT total energy	-0.242	hartree per atom

Cell lengths 15.8225, 9.3376, 23.6074 Å; angles 90.00, 96.50, 90.00 degrees
Space group Cc (No. 9)
One atom of each set of equivalent atoms:
Na 0.0000 0.0097 0.0000 (multiplicity 4)
Na 0.1639 0.4501 0.3269 (multiplicity 4)
Na 0.3398 0.0134 0.1570 (multiplicity 4)
La 0.0285 0.0072 0.3542 (multiplicity 4)
La 0.1952 0.4968 0.1819 (multiplicity 4)
La 0.3583 0.0060 0.0161 (multiplicity 4)
Si 0.1646 0.1221 0.2429 (multiplicity 4)
Si 0.3431 0.3744 0.0786 (multiplicity 4)
Si 0.3529 0.2917 0.4088 (multiplicity 4)
Ge 0.0144 0.0410 0.1391 (multiplicity 4)
Ge 0.2202 0.4792 0.4635 (multiplicity 4)
Ge 0.3511 0.0748 0.2954 (multiplicity 4)
S 0.0090 0.2943 0.7432 (multiplicity 4)
S 0.0157 0.3889 0.4096 (multiplicity 4)
S 0.0422 0.3186 0.0765 (multiplicity 4)
S 0.1771 0.2098 0.5667 (multiplicity 4)
S 0.2165 0.1977 0.9064 (multiplicity 4)
S 0.3956 0.3085 0.7312 (multiplicity 4)
O 0.0155 0.2106 0.7956 (multiplicity 4)
O 0.0342 0.2340 0.4063 (multiplicity 4)
O 0.0502 0.1515 0.0804 (multiplicity 4)
O 0.0744 0.4057 0.7445 (multiplicity 4)
O 0.0793 0.3574 0.0257 (multiplicity 4)
O 0.0857 0.3737 0.1300 (multiplicity 4)
O 0.0979 0.1271 0.5597 (multiplicity 4)
O 0.1013 0.4702 0.4182 (multiplicity 4)
O 0.1106 0.0430 0.1845 (multiplicity 4)
O 0.1238 0.0811 0.2993 (multiplicity 4)
O 0.1259 0.1564 0.9045 (multiplicity 4)
O 0.1791 0.3041 0.5135 (multiplicity 4)
O 0.1814 0.2982 0.6188 (multiplicity 4)
O 0.1825 0.2920 0.2380 (multiplicity 4)
O 0.2211 0.3630 0.9087 (multiplicity 4)
O 0.2518 0.1092 0.5726 (multiplicity 4)
O 0.2564 0.1547 0.8566 (multiplicity 4)
O 0.2591 0.3758 0.4087 (multiplicity 4)
O 0.2598 0.1447 0.9606 (multiplicity 4)
O 0.2629 0.0367 0.2459 (multiplicity 4)
O 0.2858 0.4139 0.1278 (multiplicity 4)
O 0.3000 0.4483 0.0149 (multiplicity 4)
O 0.3070 0.3577 0.7254 (multiplicity 4)
O 0.3378 0.2064 0.3440 (multiplicity 4)
O 0.3592 0.1784 0.4586 (multiplicity 4)
O 0.3621 0.2056 0.0746 (multiplicity 4)
O 0.4015 0.1531 0.7277 (multiplicity 4)
O 0.4191 0.1240 0.2420 (multiplicity 4)
O 0.4294 0.4057 0.4095 (multiplicity 4)
O 0.4368 0.3686 0.6796 (multiplicity 4)
O 0.4384 0.3680 0.7838 (multiplicity 4)
O 0.4399 0.4567 0.0890 (multiplicity 4)
O 0.4510 0.1496 0.5773 (multiplicity 4)
O 0.4669 0.0836 0.9572 (multiplicity 4)
O 0.4741 0.0571 0.8536 (multiplicity 4)
O 0.4964 0.2862 0.1902 (multiplicity 4)

Material: Na10La4Si7Ge4S5O48
Method: DFT, GGA-PBE
State: relaxed

ρ	3119	kg/m3
total magnetic moment	0.00	μB per cell
ΔE_f	-197.378	eV/f.u.
DFT total energy	-0.241	hartree per atom

Cell lengths 9.6843, 16.0056, 22.8537 Å; angles 82.99, 89.92, 89.73 degrees
Space group P1 (No. 1)
One atom of each set of equivalent atoms:
Na 0.0000 0.0000 0.0000 (multiplicity 1)
Na 0.0002 0.3108 0.6829 (multiplicity 1)
Na 0.0032 0.9845 0.3469 (multiplicity 1)
Na 0.0052 0.3401 0.3325 (multiplicity 1)
**The records of crystals stop here**
A new window will open. Select Format, and select which element of design (Font, Paragraph,
et cetera) to modify from the drop-down list.
Use Styles to create heading formats: Title, Heading 1, Heading 2, Heading 3, Normal, et cetera.
Make sure that styles progress in a logical manner (Heading 2 should follow Heading 1).
Headings are conveniently located in the Style group in the Home Ribbon.
Keyboard Shortcuts
command-option-1 for Heading 1
command-option-2 for Heading 2
command-option-3 for Heading 3
To create lists, use the Bullet command to emphasize individual points and the Numbering
command to describe the proper order for a series of steps in a sequence.
Position the cursor where a bullet or number is desired and right-click to get a contextual menu,
and select Bullets or Numbering. Or, access them directly from the Paragraph group of the
Home Ribbon. You can also use the keyboard shortcut +shift+L to add a bullet.
To create columns, go to the Layout Ribbon, and from the Test Layout group, select Columns.
To insert a hyperlink, type command-k. Use the Screen Tip button to add a text description. Add
a meaningful description to the Display text for the link - avoid saying only “click here.”
Tables, Graphics, and Images
To insert a table, open the Tables ribbon and, in the Table Options group, click the New button.
Tips for Designing Tables:
Repeat header rows when tables exceed a single page.
Avoid letting table rows break across the page.
Graphics and Images
Provide all Graphics and Images with alternative text descriptions. Alternative Text (Alt Text)
is read by screen readers in place of the image, making the image’s content and function within
the document accessible to those with visual or cognitive disabilities.
To insert alternative text, right-click the image and select Format Picture.
Select the Alt Text pane to enter text.
Tips for Placing Graphics:
Avoid placing graphics too close to text as this can both make the document appear cluttered and
cause problems when converting to PDF. Instead, allow for some white space between text and
Microsoft® Word for Mac 2011 does not produce accessible PDFs. However, the free open-
source programs OpenOffice, LibreOffice, and NeoOffice can open Word 2011 documents, and
export them to a tagged, accessible PDF.
After installing one of those applications, use it to open your Word document. Then, from the
File menu, select Export as PDF…
This will open a PDF Options window. Check the Tagged PDF checkbox, and click Export.
You can perform a “Quick Check” of accessibility in the free Adobe Reader. Open the file in
Adobe Reader; from the Edit menu, go to the Accessibility submenu and select Quick Check.
Or, type shift-command-6.
Those with the full version of Adobe Acrobat can perform a more complete accessibility check.
From the Advanced menu, go to the Accessibility submenu and select Full Check.
There are a number of options, but you can generally leave the defaults selected and click
Start Checking.
When finished, Acrobat will present a summary of the issues found.
It will then open a panel in the PDF document, containing a detailed report of any issues found,
and links to information about how to remediate the issues.